The Apocrypha, Lesson 1: Background–The Jews Lose their Hebrew

In Jesus’ day, Greek was the “universal” language around the Mediterranean world.  Earlier, most Jews lost their ability to read and speak in Hebrew during their captivity in Babylon.  Hebrew became the domain of rabbis, who learned it to read the Scriptures.  We learn of this loss in Nehemiah. Read Nehemiah 8:1, 5-8 The household […]

Psalm 23: The Holy Hunter

A chapter about the Lord and His sheep.  Such a poor reputation comes with these wool-covered creatures.  For they are gamey to the nose and stupid of mind, too quick to roam and become lost.  Such poor eyesight, but they do recognize their shepherd’s voice!  For sheep to thrive, they must learn to live by […]

Romans, Lesson 30: Greetings and Conclusion

  After asking the congregation in Rome to welcome Phoebe, a deaconess, and likely the courier for his letter, Paul now mentions many names in the congregation at Rome.   Read Romans 16:3-15     Jewish Male (5) Jewish Female (2) Gentile Male (13) Gentile Female (7) Acquila Prisca (Priscilla) Epaenetus (Greek) Mary (common Jewish […]

Romans, Lessons 28-29: Paul’s Appeal and a study on Deaconesses by way of Phoebe

Unrelated to this piece: materials data:
1.
Here is a relaxed Hf5Te4 crystal from the Materials Project. Energies are from meta-GGA r2SCAN.

The calculated volume comes out at 24.12 Å³ per atom. For the formation energy, the calculation gives -0.7178 eV per atom. The calculation puts the size of the total moment at 0.00 Bohr magnetons per cell.

Cell: 10.7042 10.7042 3.7885 Å, 90.00 90.00 90.00°
Closest atoms and distances in Å follow each position.
Space group I4/m (No. 87)
Unique sites:
Hf 0.0000 0.0000 0.0000  4 Te 3.09, 8 Hf 3.12
Hf 0.1319 0.1898 0.5000  5 Te 2.90-2.91, 2 Hf 3.12
Te 0.0516 0.7160 0.0000  6 Hf 2.90-3.09

2.
Here is a relaxed Hf3TiTe20 crystal from the Materials Project. Energies are from meta-GGA r2SCAN.

The calculated volume comes out at 34.90 Å³ per atom. For the formation energy, the calculation gives -0.4899 eV per atom. The calculation puts the size of the total moment at 0.00 Bohr magnetons per cell.

Cell: 27.6366 3.9916 15.1837 Å, 90.00 90.00 90.00°
Closest atoms and distances in Å follow each position.
Space group Amm2 (No. 38)
Unique sites:
Hf 0.0000 0.0000 0.0000  8 Te 2.95-2.98
Hf 0.2510 0.0000 0.3738  8 Te 2.95-2.98
Ti 0.5000 0.0000 0.0011  8 Te 2.89-2.92
Te 0.0000 0.0000 0.3551  2 Hf 2.97, 4 Te 3.31
Te 0.0498 0.0000 0.6107  1 Te 2.75, 2 Hf 2.95
Te 0.0925 0.0000 0.8989  2 Te 2.94, 1 Hf 2.98
Te 0.1584 0.0000 0.4745  2 Te 2.94, 1 Hf 2.98
Te 0.2014 0.0000 0.7629  1 Te 2.75, 2 Hf 2.95
Te 0.2507 0.0000 0.0187  2 Hf 2.97, 4 Te 3.31
Te 0.3010 0.0000 0.7634  1 Te 2.75, 2 Hf 2.95
Te 0.3433 0.0000 0.4754  2 Te 2.94, 1 Hf 2.98
Te 0.4103 0.0000 0.9018  1 Ti 2.90, 4 Te 2.94-3.24
Te 0.4510 0.0000 0.6063  1 Te 2.71, 2 Ti 2.89
Te 0.5000 0.0000 0.3611  2 Ti 2.92, 4 Te 3.24

3.
Here is a relaxed HfTi crystal from the Materials Project. Energies are from meta-GGA r2SCAN.

The calculated volume comes out at 19.92 Å³ per atom. For the formation energy, the calculation gives 0.0605 eV per atom. The calculation puts the size of the total moment at 0.00 Bohr magnetons per cell.

Cell: 3.0861 3.0861 4.8293 Å, 90.00 90.00 120.00°
Closest atoms and distances in Å follow each position.
Space group P-6m2 (No. 187)
Unique sites:
Hf 0.0000 0.0000 0.0000  6 Ti 3.00, 6 Hf 3.09
Ti 0.6667 0.3333 0.5000  6 Hf 3.00, 6 Ti 3.09

4.
Here is a relaxed Hf2Tl crystal from the Materials Project. Energies are from meta-GGA r2SCAN.

The calculated volume comes out at 22.06 Å³ per atom. For the formation energy, the calculation gives -0.0308 eV per atom. The calculation puts the size of the total moment at 0.00 Bohr magnetons per cell.

Cell: 3.5211 3.5211 10.6754 Å, 90.00 90.00 90.00°
Closest atoms and distances in Å follow each position.
Space group I4/mmm (No. 139)
Unique sites:
Hf 0.0000 0.0000 0.1672  4 Hf 3.05, 4 Tl 3.06
Tl 0.0000 0.0000 0.5000  8 Hf 3.06

5.
Here is a relaxed HfV2 crystal from the Materials Project. Energies are from meta-GGA r2SCAN.

Paul shared his plans to visit Rome on his way to Spain.  But first, he needs to deliver the monetary aid to the Jerusalem Christians, and so he makes a request of the Roman Christians.   A Final Appeal Read Romans 15:30-32 What does Paul ask of the Roman Christians, in general?   What does […]

## Here the article breaks off for crystal structures
PBE+U Sr51W12N56O3, optimized geometry; size of the total moment = 0.000 μB/atom; calculated volume = 18.6 Å³ per atom; space group = No. 2; DFT total energy = -757.908 eV/cell
1.0
11.235 0.000 0.000
-4.470 12.406 0.000
-1.578 -4.487 16.309
Sr W N O
51 12 56 3
Direct
0.000 0.000 0.000
0.009 0.953 0.200
0.025 0.863 0.404
0.067 0.822 0.848
0.079 0.641 0.670
0.087 0.689 0.249
0.124 0.656 0.457
0.142 0.578 0.857
0.150 0.503 0.066
0.203 0.454 0.526
0.216 0.326 0.902
0.237 0.280 0.098
0.238 0.233 0.299
0.255 0.186 0.506
0.285 0.134 0.722
0.310 0.045 0.123
0.320 0.982 0.326
0.355 0.958 0.544
0.356 0.902 0.747
0.359 0.858 0.948
0.396 0.801 0.164
0.406 0.764 0.374
0.422 0.666 0.768
0.456 0.608 0.976
0.466 0.523 0.402
0.479 0.570 0.182
0.521 0.430 0.818
0.534 0.477 0.598
0.544 0.392 0.024
0.578 0.334 0.232
0.594 0.236 0.626
0.604 0.199 0.836
0.641 0.142 0.052
0.644 0.098 0.253
0.645 0.042 0.456
0.680 0.018 0.674
0.690 0.955 0.877
0.715 0.866 0.278
0.745 0.814 0.494
0.762 0.767 0.701
0.763 0.720 0.902
0.784 0.674 0.098
0.797 0.546 0.474
0.850 0.497 0.934
0.858 0.422 0.143
0.876 0.344 0.543
0.913 0.311 0.751
0.921 0.359 0.330
0.933 0.178 0.152
0.975 0.137 0.596
0.991 0.047 0.800
0.030 0.901 0.615
0.095 0.742 0.068
0.218 0.380 0.716
0.224 0.485 0.265
0.372 0.119 0.943
0.482 0.755 0.591
0.518 0.245 0.409
0.628 0.881 0.057
0.776 0.515 0.735
0.782 0.620 0.284
0.905 0.258 0.932
0.970 0.099 0.385
0.010 0.389 0.905
0.020 0.209 0.990
0.039 0.243 0.463
0.065 0.392 0.197
0.099 0.435 0.670
0.111 0.055 0.356
0.118 0.899 0.714
0.122 0.244 0.740
0.136 0.114 0.156
0.161 0.014 0.578
0.184 0.850 0.172
0.213 0.009 0.945
0.218 0.515 0.379
0.218 0.699 0.013
0.256 0.739 0.804
0.287 0.622 0.231
0.300 0.690 0.584
0.315 0.481 0.820
0.331 0.354 0.641
0.349 0.418 0.248
0.350 0.457 0.043
0.384 0.227 0.879
0.436 0.347 0.447
0.441 0.201 0.056
0.443 0.172 0.296
0.464 0.131 0.469
0.480 0.085 0.686
0.483 0.045 0.905
0.517 0.955 0.095
0.520 0.915 0.314
0.536 0.869 0.531
0.557 0.828 0.704
0.559 0.799 0.944
0.564 0.653 0.553
0.616 0.773 0.121
0.650 0.543 0.957
0.651 0.582 0.752
0.669 0.646 0.359
0.685 0.519 0.180
0.700 0.310 0.416
0.713 0.378 0.769
0.744 0.261 0.196
0.782 0.301 0.987
0.782 0.485 0.621
0.787 0.991 0.055
0.816 0.150 0.828
0.839 0.986 0.422
0.864 0.886 0.844
0.878 0.756 0.260
0.882 0.101 0.286
0.889 0.945 0.644
0.901 0.565 0.330
0.935 0.608 0.803
0.961 0.757 0.537
0.980 0.791 0.010
0.990 0.611 0.095
0.000 0.000 0.500
0.223 0.821 0.394
0.777 0.179 0.606

PBE+U Te2W2N2O, optimized geometry; size of the total moment = 0.286 μB/atom; calculated volume = 28.2 Å³ per atom; space group = No. 44; DFT total energy = -39.560 eV/cell
1.0
-3.990 4.147 2.984
3.990 -4.147 2.984
3.990 4.147 -2.984
Te W N O
2 2 2 1
Direct
0.172 0.000 0.172
0.828 0.000 0.828
0.806 0.075 0.270
0.806 0.536 0.730
0.518 0.263 0.745
0.518 0.773 0.255
0.914 0.414 0.500


[1]
VASP calculation (GGA-PBE) on a relaxed structure of SmYCo4Ni6.

Lattice parameters (Å, degrees): 3.974 4.903 8.480 90.00 90.00 90.00

Luke 24:1-8: Remember What Jesus Told You

The angel asks a strange question.  “Why do you seek the living among the dead?”  The answer is clear.  “Where else will Jesus be?”  These women awoke early in the morning, not wanting to leave their Lord’s body without a proper burial. With heavy footsteps, laden with grief, they talk.  How will they anoint the […]

Good Friday, The Centurion: This Man, Jesus, is the Son of God!

The day is dark on a Friday so long ago.  The life drains from an unusual man as He goes to His gloomy end.  Is He not supposed to be the One, prophesied by Scripture?  Yes, but we find Him too powerless to save Himself.  The injustice of corrupt leaders and what is expedient for […]

+++
DFT (PBE-GGA) results for crystalline LaI3O9 at its relaxed geometry.

Energy of formation from the pure elements: -1.0216 eV per atom
Total energy: -4.70 eV/atom
ΔE to the lowest computed polymorph: 0.473 eV/atom

Cell lengths 7.1402, 8.2068, 6.6959 Å; angles 90.00, 90.00, 90.00 degrees
Closest atoms and distances in Å follow each position.
Fractional positions:
O  0.5000  0.0000  0.2635  1 La 2.30, 2 I 2.54
O  0.6741  0.3550  0.4781  1 I 1.94, 1 O 2.06
O  0.5000  0.2348  0.8761  1 I 1.87
O  0.8259  0.8550  0.5219  1 I 1.94, 1 O 2.06
O  0.1737  0.0000  0.8979  2 I 2.12
La  0.5000  0.0000  0.6077  1 O 2.30
O  0.8263  0.0000  0.8979  2 I 2.12
I  0.5000  0.5000  0.6108  4 O 1.94
O  0.6737  0.5000  0.1021  2 I 2.12
La  0.0000  0.5000  0.3923  1 O 2.30
O  0.6741  0.6450  0.4781  1 I 1.94, 1 O 2.06
O  0.1741  0.1450  0.5219  1 I 1.94, 1 O 2.06
I  0.0000  0.0000  0.3892  4 O 1.94
O  0.8259  0.1450  0.5219  1 I 1.94, 1 O 2.06
O  0.3259  0.3550  0.4781  1 I 1.94, 1 O 2.06
O  0.3263  0.5000  0.1021  2 I 2.12
I  0.5000  0.2940  0.1452  1 O 1.87
I  0.5000  0.7060  0.1452  1 O 1.87
O  0.0000  0.7348  0.1239  1 I 1.87
O  0.0000  0.5000  0.7365  1 La 2.30, 2 I 2.54
O  0.5000  0.7652  0.8761  1 I 1.87
I  0.0000  0.2060  0.8548  1 O 1.87
O  0.1741  0.8550  0.5219  1 I 1.94, 1 O 2.06
O  0.0000  0.2652  0.1239  1 I 1.87
I  0.0000  0.7940  0.8548  1 O 1.87
O  0.3259  0.6450  0.4781  1 I 1.94, 1 O 2.06

~~~~~

Entry from the Materials Project: a relaxed structure of CaSi4NiO10 (PBE with a Hubbard U).
+++

Jesus, Our Passover Lamb

Exodus 6:2-8, Exodus 12:1-14, and Luke 22:14-20   The end is near.  The words our Savior speaks are clear, “I wanted much to eat this Passover with you [, my disciples,] before I suffer.”  “The Son of Man is going to his death according to God’s plan.” The path of death is now before Him.  For […]

Al and Gloria Hynek’s Funeral Sermon

Job 13:20-25; Romans 5:8-10;  John 3:1-7, 9-12, 16-17   A story of love and a story of heartbreak.  One sentence to describe my understanding of Al and Gloria in my life as their pastor.  One comes to worship and joins in the life of this congregation, the other stays on the fringes, cloistered in the […]

Holy Week Services

As we remember the way our Lord took for our salvation, we do so with three services this week: Maundy Thursday, April 13: 7:oo PM, which is a Divine Service with a spoken liturgy Good Friday, April 14: 7:00 PM, the most somber service of the entire year, our Savior dying to give us eternal life Easter, […]

Palm Monday: Matthew 21:12-16

The wonders of Jesus confront the chief priests and scribes.  In the Temple, the Father’s House, the Son, soon to die, causes eyes to open in surprise.  The children respond, bringing honor to God for His unexpected blessings. The triumphal entry into Jerusalem does cause the people to sit up and wonder—but what takes place […]